View Full Version : Who owns the Kieth No. 5?

07-22-2010, 08:11 PM
I read in Hamilton Bowens book that he was hoping to get to see the original while he was building a copy. I started re-reading Taffin's "Big Bore Sixguns" today, and John mentions he has handled the gun.

I'm sure Mr. Taffin could answer this, but I figure there are others here who know.

What comes next are data records, not part of the entry.
- - -
(1)
The following is a computed PXRD pattern of Ag2TeS. It was derived from the PBE geometry in Alexandria, using Cu Kα (λ = 1.5418 Å).
No peak broadening, texture or thermal motion is included.

Structure:
```
data_Ag2TeS
_chemical_formula_sum 'Ag4 Te2 S2'
_cell_length_a 4.5172
_cell_length_b 9.4177
_cell_length_c 4.7302
_cell_angle_alpha 90.00
_cell_angle_beta 96.50
_cell_angle_gamma 90.00
_space_group_name_H-M_alt 'P 1 21 1'
_space_group_IT_number 4
loop_
_space_group_symop_operation_xyz
'x,y,z'
'-x,y+1/2,-z'
loop_
_atom_site_label
_atom_site_type_symbol
_atom_site_fract_x
_atom_site_fract_y
_atom_site_fract_z
_atom_site_occupancy
Ag1 Ag 0.0857 0.0000 0.0890 1
Ag2 Ag 0.1748 0.7718 0.6575 1
Te1 Te 0.4931 0.6611 0.1238 1
S1 S 0.2574 0.3732 0.6353 1
```

Main lines, in order of rising 2θ (10° ≤ 2θ ≤ 90°):
(0 0 1), 18.9 deg, intensity 40; (1 1 0), 21.9 deg, intensity 32; (0 2 1), 26.8 deg, intensity 67; (1 2 0), 27.5 deg, intensity 58; (1 1 1), 30.6 deg, intensity 76; (1 2 -1), 32.2 deg, intensity 100; (0 3 1), 34.4 deg, intensity 50; (1 2 1), 34.9 deg, intensity 38; (0 1 2), 39.5 deg, intensity 29; (1 0 -2), 41.3 deg, intensity 31; (1 4 0), 43.4 deg, intensity 40; (2 1 -1), 43.8 deg, intensity 25

=====

(2)
The following is a computed PXRD pattern of Ac6IrPd2Pt. It was derived from the PBE geometry in Alexandria, using Cu Kα (λ = 1.5418 Å).
No peak broadening, texture or thermal motion is included.

Structure:
```
data_Ac6IrPd2Pt
_chemical_formula_sum 'Ac6 Ir1 Pd2 Pt1'
_cell_length_a 7.6326
_cell_length_b 7.6348
_cell_length_c 8.3170
_cell_angle_alpha 62.69
_cell_angle_beta 62.69
_cell_angle_gamma 60.04
_space_group_name_H-M_alt 'P 1'
_space_group_IT_number 1
loop_
_space_group_symop_operation_xyz
'x,y,z'
loop_
_atom_site_label
_atom_site_type_symbol
_atom_site_fract_x
_atom_site_fract_y
_atom_site_fract_z
_atom_site_occupancy
Ac1 Ac 0.0000 0.0000 0.0000 1
Ac2 Ac 0.1356 0.8640 0.4930 1
Ac3 Ac 0.3044 0.3556 0.0003 1
Ac4 Ac 0.5070 0.1680 0.4931 1
Ac5 Ac 0.6445 0.6599 0.9999 1
Ac6 Ac 0.8109 0.4926 0.4929 1
Ir1 Ir 0.9058 0.2618 0.2306 1
Pd1 Pd 0.2257 0.5822 0.2708 1
Pd2 Pd 0.7245 0.0810 0.7741 1
Pt1 Pt 0.4054 0.7617 0.7314 1
```

Main lines, in order of rising 2θ (10° ≤ 2θ ≤ 90°):
- - -

While I'm at it, I will ask another question. Were's the best overall museum display of hanguns?

07-22-2010, 08:55 PM
Here is a article on where Keith's #5 is for viewing!

07-22-2010, 10:18 PM
The best museum for guns that I've been to is the Texas Ranger Museum in Waco, Texas. They have guns belonging to a lot of the old Rangers as well as Billy the Kid and Bonnie and Clyde. The Smithsonian in Wash D.C. has quite a collection also.

07-22-2010, 11:05 PM
If you want to see a huge gun museum, check out this place. http://www.thegunmuseum.com/menu1.htm

07-22-2010, 11:24 PM
The Buffalo Bill Firearms Museum in Cody, Wyoming claims the most comprehensive assemblage of American firearms in the world, including "The Winchester Collection."

07-23-2010, 08:03 AM
I have been to Boise Idaho, Cabela's, and viewed the Elmer Keith collection on display there. I have had my nose about 2 feet from his no. 5. Unfortunately, thick glass seperated me and the gun. thanks Jim

07-23-2010, 08:48 AM
Here's a picture I took of it last Fall at the Elmer Keith Museum, in Boise, Idaho, at Cabelas.


07-23-2010, 07:19 PM
If you are any where near Bartlesville, Oklahoma, visit the Frank Phillips weekend retreat he called Woolaroc. You can look at colt pistols, including the very rare ones until your eyes get tired. The museum also contains all sorts of western historical items. All sorts animals roam the grounds such as buffalo, elk and zebra. It is well worth the trouble it takes to get there. Frank, in case you didn't know ,founded Phillips Petroleum.

07-25-2010, 09:30 AM
Thanks for all the replies!

07-25-2010, 10:22 AM
I would bet that if Mr. Keith's son is still alive he owns the gun. If he is deceased I'd say one of Mr. Keith's grandchildren owns the gun.
That would be my assumption. But, we all know how assumptions are.

07-25-2010, 08:08 PM
If you go to Bartlesville, Ok., drop on down to Claremore and visit the J.M. Davis gun museum, worth the trip.

Lloyd Smale
07-26-2010, 07:43 AM
yup its amazing. It takes a couple days to see everything.
The Buffalo Bill Firearms Museum in Cody, Wyoming claims the most comprehensive assemblage of American firearms in the world, including "The Winchester Collection."

07-26-2010, 08:40 AM
I have seen Pic's before of the #5. With who it belonged to and TRUE records of it, there is no question.
Gun's that belonged to so and so and birth places of so and so. A lot of that I question. Just east of me a ways is the supposed birth place or home of Jesse James. Yet do a search on different folks of bygone times and see how many guns and birth places there are. The had to of started cloning and test tube babies in the mid 1800's. And every time one of those outlaws emptied a gun the threw it down and grabbed another one. Who knows maybe the old Wild Wild West show was true.
I was at MVACA gun show this past weekend in KC. There were sevral guns there supposed to having belonged to some know famous person.
not knocking you txbirdman. just how some of these places present what they have.